Input:
+++
Compound: SrGeO3
Source: the Materials Project
Functional: PBE
Structure: optimized geometry

Unit cell a=7.0535 b=7.0535 c=5.7714 alpha=90.00 beta=90.00 gamma=120.00
Space group P-62m (No. 189)
Asymmetric unit:
Sr: 0.0000 0.3375 0.0000
Ge: 0.0000 0.7308 0.5000
O: 0.0000 0.2428 0.5000
O: 0.0000 0.6369 0.2218

Results
calculated formation energy	-2.631	eV per atom
piezoelectric modulus e_max	0.207	C/m2
calculated total energy	-96.75	eV for the cell shown
+++
Wanted:
Next, give back the data earlier on from the first line to the one with "cell shown" with every line break kept.
Response:
Compound: SrGeO3
Source: the Materials Project
Functional: PBE
Structure: optimized geometry

Unit cell a=7.0535 b=7.0535 c=5.7714 alpha=90.00 beta=90.00 gamma=120.00
Space group P-62m (No. 189)
Asymmetric unit:
Sr: 0.0000 0.3375 0.0000
Ge: 0.0000 0.7308 0.5000
O: 0.0000 0.2428 0.5000
O: 0.0000 0.6369 0.2218

Results
calculated formation energy	-2.631	eV per atom
piezoelectric modulus e_max	0.207	C/m2
calculated total energy	-96.75	eV for the cell shown